Wednesday, January 31, 2007

It's a Girl!!!

I'm so excited to have a Daddy's Little Girl. I've already got my eye on these two troublemakers.

Monday, January 29, 2007

My night is ruined!!

Courtney is watching the Miss America pageant and Oklahoma just won over Texas. This is an outrage!!
Texas - Basketball Hotbed?

I watched the Texas/Baylor game on Sat. and I wasn't prepared for that close of game. Luckily I didn't see most of the first half. The Horns played hard the second half and stormed back by hitting their 3's. I really enjoy watching this young team play, but it kills me that we are pretty much a live by the 3, die by the 3 team. I was also surprised by the crowd at the Erwin Center. The announced crowd was 15,000 plus, and reports say that their was a solid 14,000 in attendance. During the Horns comeback in the second half, the crowd was fantastic. Its great to see how far the program has come since Rick Barnes took over. A few years ago I would expect a crowd of 6-8,000 for a Baylor game. The Dallas Morning News is found of making little remarks about the crowds at the beginning of the year, but they don't consider that these games are against teams like Alcorn State. The program is not at a point yet where they will attract over 5,000 for a game like that, but I didn't see any mention of the great crowd this weekend.

Texas, A&M, and Tech are having solid seasons and fans are coming out in droves for the games. It not exactly Tobacco Road, but I believe basketball is becoming more than a break between football and spring football. Throw in the three pro teams and one might even consider the state a basketball hotbed.
Cal's Memorial Stadium Expansion on Hold

I enjoy keep track of stadium expansions, so I thought I would share this recent news. The ESPN story and response from a Cal blog. I'll provide updates on the Texas stadium construction soon.

Saturday, January 27, 2007

I was curious....

How long do flags stay at half-staff after a former president's death? I've noticed over the past couple of days that some have already went up, while others are still in mourning. U.S. Code calls for flags to be flown at half-staff for thirty days after the death of a current or former president. Now we know.

Let the record show that I would like flags to be flown at half-staff for 45 min. after my death, thanks.

Friday, January 26, 2007

Random Five: TV Shows

1. The Office - Simply the best show on TV

2. Friday Night Lights - If you didn't watch this show because you know it couldn't live up to the name, give it a chance. The drama is compelling, its more about small town life than football. Buddy Garrity is one of the best characters on TV.

3. How I Met Your Mother - Hard to describe, but pretty funny.

4. Law & Order:SVU - Courtney's favorite show, lots of re-runs, most of the time you can pick it up in the middle of the show and still watch

5. Seasonal - American Idol, Real World/Road Rules Challenge, The Hills, Laguna Beach, One Tree Hill, Two-A-Days, HGTV, The History Channel, and of course sports.

Wednesday, January 24, 2007

Go Horns....Step on Enemy's Territory

There was a good article in last Friday's Wall Street Journal about the NFL extending their global reach to China. "The NFL has supported the efforts of 11 academics who have create a 300-page American Football Encyclopedia. Here is how some key terms are rendered into Chinese in the Encyclopedia."

Term - Chinese Equivalent

Blitz - Lightning war against the QB
Hail Mary Pass - Miracle Long Pass
Onside Kick - Gambling kickoff
Play Action - Pass after fake run
Pocket - Protection arc
Punt - Give up and kick it back
Sack - Capture the commander in chief
Touchdown - Step on enemy's territory

Monday, January 22, 2007

A few old quickhits

-With the Florida win I finished in a four-way tie for first in our work bowl pool. The tie-breaker was the total combined score and unfortunately I thought it would be a low scoring game. My reward, 4th place and zero money.

-I'm not on board with bringing in Sammy "I don't speak English" Sosa. Even though it is only a minor league contract and there is a fair chance he won't make the team, I just don't think he has anything to offer the Rangers. We have plenty of outfielders and we need to get Botts and some of the other young guys as many spring training at-bats as possible. I believe he is only 12 homeruns shy of reaching 600, but I don't think thousands of fans will flock to the temple to see this drug-induced history. The Rangers had their chance with Sammy 17 or so years ago and trading him for nothing.

Weekend Round-up

-I watched most of the Texas game this weekend. For such a young team I feel they can compete with most any team, but they just can't seem to get over the hump. Against Tennessee they couldn't hold a big lead and this weekend at Villinova they threw up way to many 3's. I don't think many teams will want to play the Horns in the tournament, but I will have to see the bracket before I project the Horns into the round of 16.

-I'm reading Civil War and Baseball books right now, so let me know if you have any recommendations.

-I was happy with the Parcels news. I hate how he acts like he is God's gift to coaching and if the team plays bad it all falls on the players. I do hope that Jerry doesn't start running the whole show again, because we all have seen where that gets us. I wouldn't mind see, one, Bob Stoops take over the show at Valley Ranch especially if it throws the Sooner program in disarray for a few years.

┌──
1.
First-principles (meta-GGA SCAN) data for a crystal of CrOs3 relaxed with PBEsol, as listed in the Alexandria database.

extended XYZ file:
```
4
Lattice="2.7077 0.0000 0.0000 0.0000 4.2540 0.0000 0.0000 0.0000 4.6510" Properties=species:S:1:pos:R:3 pbc="T T T"
Cr 0.0000 0.0000 0.0000
Os 0.0000 2.1270 1.5300
Os 1.3539 0.0000 2.3330
Os 1.3539 2.1270 3.9195
```

Properties
The energy of formation is -9 meV per atom. Its density of states at the Fermi level is 2.97 states/eV/f.u. As for the space group: No. 25. The calculation puts the final energy at -234.1 eV/cell.

***

2.
First-principles (meta-GGA SCAN) data for a crystal of CaY3Sn relaxed with PBEsol, as listed in the Alexandria database.

extended XYZ file:
```
5
Lattice="5.3554 0.0000 0.0000 0.0000 5.3554 0.0000 0.0000 0.0000 5.3554" Properties=species:S:1:pos:R:3 pbc="T T T"
Ca 0.0000 0.0000 0.0000
Y 0.0000 0.0000 2.6777
Y 0.0000 2.6777 0.0000
Y 2.6777 0.0000 0.0000
Sn 2.6777 2.6777 2.6777
```

Properties
The energy of formation is 848 meV per atom. Its density of states at the Fermi level is 3.95 states/eV/f.u. As for the space group: No. 221. The calculation puts the final energy at -124.9 eV/cell.

***

3.
First-principles (meta-GGA SCAN) data for a crystal of BaAgAs2Br relaxed with PBEsol, as listed in the Alexandria database.

extended XYZ file:
```
5
Lattice="4.8969 0.0000 0.0000 0.0000 4.8969 0.0000 0.0000 0.0000 5.8478" Properties=species:S:1:pos:R:3 pbc="T T T"
Ba 0.0000 0.0000 0.0000
Ag 2.4484 2.4484 2.9239
As 0.0000 2.4484 2.9239
As 2.4484 0.0000 2.9239
Br 2.4484 2.4484 0.0000
```

Properties
Its density of states at the Fermi level is 4.63 states/eV/f.u. As for the space group: No. 123. The calculation puts the final energy at -132.9 eV/cell. For the energy relative to the elements, uncorrected, the calculation gives -0.43 eV/atom.
└──
**The calculated crystals stop here**

-Head over to Courtney's blog and get your vote in for a Boy/Girl.

Tuesday, January 16, 2007

I'm Back

Sorry about the long layoff, but I'm rested and ready to go. We are entering what I refer to as the "dark period" of the year. That is the end of college football season until the first college football preview magazine hits the stands. The NFL playoffs, March Madness, Baseball, and the Mavs help fill the time, but nothing can replace the void of Saturdays without the Horns and college football. During this time I tend to get a lot of things done that I have put off all football season, and I'm sure Courtney enjoys doing something besides spending Saturdays glued to the T.V. I try to get a lot of reading done during this time so I thought I would share the books I read last year. I thought all of them were great, but I would highly recommend "Blue Like Jazz" and "Feeding the Monster".

Books of 2006:

-Absolutely American: Four years at West Point by David Lipsky
-Blue Like Jazz: Nonreligious thoughts on Christian Spirituality by Donald Miller
-The Tipping Point: How little things can make a big difference by Malcolm Gladwell
-The Money Book for the Young, Fabulous, and Broke by Suze Orman
-Runnin' with the Big Dogs: The true, unvarnished story of the Texas-Oklahoma football wars by Mike Shropshire
-Coach Royal: Conversations with a Texas football legend by Darrell Royal with John Wheat
-A Fire to Win: The life and times of Woody Hayes by John Lombardo
-The Lion in Autumn: A season with Joe Paterno and Penn State Football by Frank Fitzpatrick
-Touchdown Jesus: Faith and fandom at Notre Dame by Scott Eden
-For Texas I Will: The History of Memorial Stadium by Richard Pennington
-Feeding the Monster: How money, smarts, and nerve took a team to the top (Red Sox) by Seth Mnookin

Monday, January 15, 2007

Cotton Bowl: Auburn vs Nebraska

Sunday, January 14, 2007

Mavericks vs Hornets Dec. 30, 2006

Sec. 117
Row BB
Seat 1